_What to do_
Echo the whole of the block underneath with every line break kept.

_Contents_
=====
## Ti2RePb2 (PBE-GGA)

Data for a relaxed structure of Ti2RePb2.

Cell lengths 7.738, 7.738, 7.738 Å; angles 150.67, 150.67, 41.97 degrees
Atoms (fractional coordinates):
Ti  0.086  0.086  0.000
Ti  0.914  0.914  0.000
Re  0.500  0.500  0.000
Pb  0.250  0.750  0.500
Pb  0.750  0.250  0.500

Computed properties:
Fermi-level density of states, states/eV/atom: 0.897
Formation energy from the elements, eV/f.u.: 5.090
Offset from the most stable computed form, meV/atom: 586
Total DFT energy (no corrections), eV per cell: -30.56

----------

(1)
{
  "formula": "PtRhPb",
  "functional": "PBEsol",
  "state": "optimized geometry",
  "cell": [[6.1749, 0.0000, 0.0000], [0.0000, 6.1749, 0.0000], [0.0000, 0.0000, 6.1749]],
  "species": ["Pt", "Pt", "Pt", "Pt", "Rh", "Rh", "Rh", "Rh", "Pb", "Pb", "Pb", "Pb"],
  "frac_coords": [[0.0000, 0.0000, 0.0000], [0.0000, 0.5000, 0.5000], [0.5000, 0.0000, 0.5000], [0.5000, 0.5000, 0.0000], [0.2500, 0.2500, 0.7500], [0.2500, 0.7500, 0.2500], [0.7500, 0.2500, 0.2500], [0.7500, 0.7500, 0.7500], [0.0000, 0.0000, 0.5000], [0.0000, 0.5000, 0.0000], [0.5000, 0.0000, 0.0000], [0.5000, 0.5000, 0.5000]],
  "rho_g_cm3": 14.3,
  "vol_a3_per_cell": 235.45,
  "e_form_mev_per_atom": 178,
  "spacegroup": "F-43m (216)",
  "crystal_system": "cubic",
  "magnetic_moment_mub_per_cell": 0.00
}

=====

(2)
{
  "formula": "Co3BiRu",
  "functional": "PBEsol",
  "state": "optimized geometry",
  "cell": [[4.3880, 0.0000, 0.0000], [0.0000, 4.3880, 0.0000], [0.0000, 0.0000, 4.3880]],
  "species": ["Co", "Co", "Co", "Bi", "Ru"],
  "frac_coords": [[0.0000, 0.0000, 0.5000], [0.0000, 0.5000, 0.0000], [0.5000, 0.0000, 0.0000], [0.5000, 0.5000, 0.5000], [0.0000, 0.0000, 0.0000]],
  "rho_g_cm3": 9.6,
  "vol_a3_per_cell": 84.49,
  "e_form_mev_per_atom": 1278,
  "spacegroup": "Pm-3m (221)",
  "crystal_system": "cubic",
  "magnetic_moment_mub_per_cell": 0.01
}

=====

(3)
{
  "formula": "Y2RuPt",
  "functional": "PBEsol",
  "state": "optimized geometry",
  "cell": [[4.3421, 0.0000, 0.0000], [0.0000, 3.6297, 0.0000], [0.0000, 0.0000, 10.4969]],
  "species": ["Y", "Y", "Y", "Y", "Ru", "Ru", "Pt", "Pt"],
  "frac_coords": [[0.0000, 0.0000, 0.0000], [0.0000, 0.5000, 0.5000], [0.5000, 0.0000, 0.2872], [0.5000, 0.5000, 0.7872], [0.0000, 0.0000, 0.7281], [0.0000, 0.5000, 0.2281], [0.5000, 0.0000, 0.5634], [0.5000, 0.5000, 0.0634]],
  "rho_g_cm3": 9.5,
  "vol_a3_per_cell": 165.44,
  "e_form_mev_per_atom": -656,
  "spacegroup": "Amm2 (38)",
  "crystal_system": "orthorhombic",
  "magnetic_moment_mub_per_cell": 0.00
}

=====

(4)
{
  "formula": "SrLa2SiN",
  "functional": "PBEsol",
  "state": "optimized geometry",
  "cell": [[4.9524, 0.0000, 0.0000], [0.0000, 4.9524, 0.0000], [0.0000, 0.0000, 5.0419]],
  "species": ["Sr", "La", "La", "Si", "N"],
  "frac_coords": [[0.0000, 0.0000, 0.0000], [0.0000, 0.5000, 0.5000], [0.5000, 0.0000, 0.5000], [0.5000, 0.5000, 0.0000], [0.0000, 0.0000, 0.5000]],
  "rho_g_cm3": 5.5,
  "vol_a3_per_cell": 123.66,
  "e_form_raw_ev_per_atom": -0.7902,
  "spacegroup": "P4/mmm (123)",
  "crystal_system": "tetragonal",
  "magnetic_moment_mub_per_cell": 0.00
}

=====

(5)
{
  "formula": "YFe3B4O12",
  "functional": "PBEsol",
  "state": "optimized geometry",
  "cell": [[4.6525, 2.6861, 2.3919], [-4.6525, 2.6861, 2.3919], [0.0000, -5.3722, 2.3919]],
  "species": ["Y", "Fe", "Fe", "Fe", "B", "B", "B", "B", "O", "O", "O", "O", "O", "O", "O", "O", "O", "O", "O", "O"],
  "frac_coords": [[0.0000, 0.0000, 0.0000], [0.0000, 0.5610, 0.4390], [0.4390, 0.0000, 0.5610], [0.5610, 0.4390, 0.0000], [0.0620, 0.5000, 0.9380], [0.5000, 0.5000, 0.5000], [0.5000, 0.9380, 0.0620], [0.9380, 0.0620, 0.5000], [0.0313, 0.6331, 0.7791], [0.0875, 0.9125, 0.5000], [0.2209, 0.3669, 0.9687], [0.3509, 0.6491, 0.5000], [0.3669, 0.9687, 0.2209], [0.5000, 0.0875, 0.9125], [0.5000, 0.3509, 0.6491], [0.6331, 0.7791, 0.0313], [0.6491, 0.5000, 0.3509], [0.7791, 0.0313, 0.6331], [0.9125, 0.5000, 0.0875], [0.9687, 0.2209, 0.3669]],
  "rho_g_cm3": 4.6,
=====

_Outcome_
## Ti2RePb2 (PBE-GGA)

Data for a relaxed structure of Ti2RePb2.

Cell lengths 7.738, 7.738, 7.738 Å; angles 150.67, 150.67, 41.97 degrees
Atoms (fractional coordinates):
Ti  0.086  0.086  0.000
Ti  0.914  0.914  0.000
Re  0.500  0.500  0.000
Pb  0.250  0.750  0.500
Pb  0.750  0.250  0.500

Computed properties:
Fermi-level density of states, states/eV/atom: 0.897
Formation energy from the elements, eV/f.u.: 5.090
Offset from the most stable computed form, meV/atom: 586
Total DFT energy (no corrections), eV per cell: -30.56

----------

(1)
{
  "formula": "PtRhPb",
  "functional": "PBEsol",
  "state": "optimized geometry",
  "cell": [[6.1749, 0.0000, 0.0000], [0.0000, 6.1749, 0.0000], [0.0000, 0.0000, 6.1749]],
  "species": ["Pt", "Pt", "Pt", "Pt", "Rh", "Rh", "Rh", "Rh", "Pb", "Pb", "Pb", "Pb"],
  "frac_coords": [[0.0000, 0.0000, 0.0000], [0.0000, 0.5000, 0.5000], [0.5000, 0.0000, 0.5000], [0.5000, 0.5000, 0.0000], [0.2500, 0.2500, 0.7500], [0.2500, 0.7500, 0.2500], [0.7500, 0.2500, 0.2500], [0.7500, 0.7500, 0.7500], [0.0000, 0.0000, 0.5000], [0.0000, 0.5000, 0.0000], [0.5000, 0.0000, 0.0000], [0.5000, 0.5000, 0.5000]],
  "rho_g_cm3": 14.3,
  "vol_a3_per_cell": 235.45,
  "e_form_mev_per_atom": 178,
  "spacegroup": "F-43m (216)",
  "crystal_system": "cubic",
  "magnetic_moment_mub_per_cell": 0.00
}

=====

(2)
{
  "formula": "Co3BiRu",
  "functional": "PBEsol",
  "state": "optimized geometry",
  "cell": [[4.3880, 0.0000, 0.0000], [0.0000, 4.3880, 0.0000], [0.0000, 0.0000, 4.3880]],
  "species": ["Co", "Co", "Co", "Bi", "Ru"],
  "frac_coords": [[0.0000, 0.0000, 0.5000], [0.0000, 0.5000, 0.0000], [0.5000, 0.0000, 0.0000], [0.5000, 0.5000, 0.5000], [0.0000, 0.0000, 0.0000]],
  "rho_g_cm3": 9.6,
  "vol_a3_per_cell": 84.49,
  "e_form_mev_per_atom": 1278,
  "spacegroup": "Pm-3m (221)",
  "crystal_system": "cubic",
  "magnetic_moment_mub_per_cell": 0.01
}

=====

(3)
{
  "formula": "Y2RuPt",
  "functional": "PBEsol",
  "state": "optimized geometry",
  "cell": [[4.3421, 0.0000, 0.0000], [0.0000, 3.6297, 0.0000], [0.0000, 0.0000, 10.4969]],
  "species": ["Y", "Y", "Y", "Y", "Ru", "Ru", "Pt", "Pt"],
  "frac_coords": [[0.0000, 0.0000, 0.0000], [0.0000, 0.5000, 0.5000], [0.5000, 0.0000, 0.2872], [0.5000, 0.5000, 0.7872], [0.0000, 0.0000, 0.7281], [0.0000, 0.5000, 0.2281], [0.5000, 0.0000, 0.5634], [0.5000, 0.5000, 0.0634]],
  "rho_g_cm3": 9.5,
  "vol_a3_per_cell": 165.44,
  "e_form_mev_per_atom": -656,
  "spacegroup": "Amm2 (38)",
  "crystal_system": "orthorhombic",
  "magnetic_moment_mub_per_cell": 0.00
}

=====

(4)
{
  "formula": "SrLa2SiN",
  "functional": "PBEsol",
  "state": "optimized geometry",
  "cell": [[4.9524, 0.0000, 0.0000], [0.0000, 4.9524, 0.0000], [0.0000, 0.0000, 5.0419]],
  "species": ["Sr", "La", "La", "Si", "N"],
  "frac_coords": [[0.0000, 0.0000, 0.0000], [0.0000, 0.5000, 0.5000], [0.5000, 0.0000, 0.5000], [0.5000, 0.5000, 0.0000], [0.0000, 0.0000, 0.5000]],
  "rho_g_cm3": 5.5,
  "vol_a3_per_cell": 123.66,
  "e_form_raw_ev_per_atom": -0.7902,
  "spacegroup": "P4/mmm (123)",
  "crystal_system": "tetragonal",
  "magnetic_moment_mub_per_cell": 0.00
}

=====

(5)
{
  "formula": "YFe3B4O12",
  "functional": "PBEsol",
  "state": "optimized geometry",
  "cell": [[4.6525, 2.6861, 2.3919], [-4.6525, 2.6861, 2.3919], [0.0000, -5.3722, 2.3919]],
  "species": ["Y", "Fe", "Fe", "Fe", "B", "B", "B", "B", "O", "O", "O", "O", "O", "O", "O", "O", "O", "O", "O", "O"],
  "frac_coords": [[0.0000, 0.0000, 0.0000], [0.0000, 0.5610, 0.4390], [0.4390, 0.0000, 0.5610], [0.5610, 0.4390, 0.0000], [0.0620, 0.5000, 0.9380], [0.5000, 0.5000, 0.5000], [0.5000, 0.9380, 0.0620], [0.9380, 0.0620, 0.5000], [0.0313, 0.6331, 0.7791], [0.0875, 0.9125, 0.5000], [0.2209, 0.3669, 0.9687], [0.3509, 0.6491, 0.5000], [0.3669, 0.9687, 0.2209], [0.5000, 0.0875, 0.9125], [0.5000, 0.3509, 0.6491], [0.6331, 0.7791, 0.0313], [0.6491, 0.5000, 0.3509], [0.7791, 0.0313, 0.6331], [0.9125, 0.5000, 0.0875], [0.9687, 0.2209, 0.3669]],
  "rho_g_cm3": 4.6,